[Material]
CsTaV2O8: theoretical X-ray powder pattern (Cu Kα X-rays), based on the PBE+U geometry in Alexandria.
Kinematic intensities with the Lorentz-polarization factor, no thermal factor.

Principal peaks in the range 2θ = 10–90°, low angle first:
hkl	Position (°2θ)	I/Imax
0 1 1	16.45	35
2 0 0	19.77	13
1 1 -2	19.97	14
1 0 3	21.22	18
0 0 4	21.70	22
2 0 -4	25.09	20
2 1 -3	26.97	100
0 2 0	31.34	23
0 1 5	31.49	22
2 2 -4	40.57	14

Structural model:
a b c (Å): 9.3387 5.7082 17.0300
angles (deg): 90.00 105.84 90.00
Positions (direct):
Cs1 0.0012 0.2500 0.1076
Cs2 0.4814 0.2500 0.3858
Cs3 0.5186 0.7500 0.6142
Cs4 0.9988 0.7500 0.8924
Ta1 0.0905 0.7500 0.6521
Ta2 0.4209 0.7500 0.8472
Ta3 0.5791 0.2500 0.1528
Ta4 0.9095 0.2500 0.3479
V1 0.1168 0.7500 0.3006
V2 0.2075 0.2500 0.5437
V3 0.2947 0.2500 0.9483
V4 0.3493 0.7500 0.1667
V5 0.6507 0.2500 0.8333
V6 0.7053 0.7500 0.0517
V7 0.7925 0.7500 0.4563
V8 0.8832 0.2500 0.6994
O1 0.0083 0.0068 0.2949
O2 0.0083 0.4932 0.2949
O3 0.0947 0.2500 0.4431
O4 0.1210 0.2500 0.9554
O5 0.1755 0.5046 0.5967
O6 0.1755 0.9954 0.5967
O7 0.1982 0.7500 0.2155
O8 0.2510 0.7500 0.3859
O9 0.2676 0.7500 0.7444
O10 0.2703 0.7500 0.0683
O11 0.3181 0.5029 0.8916
O12 0.3181 0.9971 0.8916
O13 0.3850 0.2500 0.5433
O14 0.4188 0.2500 0.0456
O15 0.4581 0.0067 0.1935
O16 0.4581 0.4933 0.1935
O17 0.5419 0.5067 0.8065
O18 0.5419 0.9933 0.8065
O19 0.5812 0.7500 0.9544
O20 0.6150 0.7500 0.4567
O21 0.6819 0.0029 0.1084
O22 0.6819 0.4971 0.1084
O23 0.7297 0.2500 0.9317
O24 0.7324 0.2500 0.2556
O25 0.7490 0.2500 0.6141
O26 0.8018 0.2500 0.7845
O27 0.8245 0.0046 0.4033
O28 0.8245 0.4954 0.4033
O29 0.8790 0.7500 0.0446
O30 0.9053 0.7500 0.5569
O31 0.9917 0.5068 0.7051
O32 0.9917 0.9932 0.7051

=====

Theoretical powder diffraction line list of Ac4Cd3Sn for Cu Kα, 1.54184 Å, from a cell relaxed with PBE.
Neutral-atom scattering factors, no anomalous dispersion.

Principal peaks in the range 2θ from 10° to 80°, low angle first:
| 2theta | I/Imax |
| --- | --- |
| 21.9 | 11 |
| 30.8 | 100 |
| 31.2 | 49 |
| 43.6 | 10 |
| 44.8 | 18 |
| 54.6 | 20 |
| 55.3 | 39 |
| 64.3 | 12 |
| 72.1 | 9 |
| 73.8 | 8 |

Crystal structure
abc: 4.050 4.050 16.609
angles: 90.00 90.00 90.00
Positions (direct):
1 Ac 0.000 0.000 0.123
2 Ac 0.000 0.000 0.374
3 Ac 0.000 0.000 0.626
4 Ac 0.000 0.000 0.877
5 Cd 0.500 0.500 0.000
6 Cd 0.500 0.500 0.246
7 Cd 0.500 0.500 0.754
8 Sn 0.500 0.500 0.500
[Wanted]
The reader should retype all of the calculation results further up verbatim.
[Solution]
CsTaV2O8: theoretical X-ray powder pattern (Cu Kα X-rays), based on the PBE+U geometry in Alexandria.
Kinematic intensities with the Lorentz-polarization factor, no thermal factor.

Principal peaks in the range 2θ = 10–90°, low angle first:
hkl	Position (°2θ)	I/Imax
0 1 1	16.45	35
2 0 0	19.77	13
1 1 -2	19.97	14
1 0 3	21.22	18
0 0 4	21.70	22
2 0 -4	25.09	20
2 1 -3	26.97	100
0 2 0	31.34	23
0 1 5	31.49	22
2 2 -4	40.57	14

Structural model:
a b c (Å): 9.3387 5.7082 17.0300
angles (deg): 90.00 105.84 90.00
Positions (direct):
Cs1 0.0012 0.2500 0.1076
Cs2 0.4814 0.2500 0.3858
Cs3 0.5186 0.7500 0.6142
Cs4 0.9988 0.7500 0.8924
Ta1 0.0905 0.7500 0.6521
Ta2 0.4209 0.7500 0.8472
Ta3 0.5791 0.2500 0.1528
Ta4 0.9095 0.2500 0.3479
V1 0.1168 0.7500 0.3006
V2 0.2075 0.2500 0.5437
V3 0.2947 0.2500 0.9483
V4 0.3493 0.7500 0.1667
V5 0.6507 0.2500 0.8333
V6 0.7053 0.7500 0.0517
V7 0.7925 0.7500 0.4563
V8 0.8832 0.2500 0.6994
O1 0.0083 0.0068 0.2949
O2 0.0083 0.4932 0.2949
O3 0.0947 0.2500 0.4431
O4 0.1210 0.2500 0.9554
O5 0.1755 0.5046 0.5967
O6 0.1755 0.9954 0.5967
O7 0.1982 0.7500 0.2155
O8 0.2510 0.7500 0.3859
O9 0.2676 0.7500 0.7444
O10 0.2703 0.7500 0.0683
O11 0.3181 0.5029 0.8916
O12 0.3181 0.9971 0.8916
O13 0.3850 0.2500 0.5433
O14 0.4188 0.2500 0.0456
O15 0.4581 0.0067 0.1935
O16 0.4581 0.4933 0.1935
O17 0.5419 0.5067 0.8065
O18 0.5419 0.9933 0.8065
O19 0.5812 0.7500 0.9544
O20 0.6150 0.7500 0.4567
O21 0.6819 0.0029 0.1084
O22 0.6819 0.4971 0.1084
O23 0.7297 0.2500 0.9317
O24 0.7324 0.2500 0.2556
O25 0.7490 0.2500 0.6141
O26 0.8018 0.2500 0.7845
O27 0.8245 0.0046 0.4033
O28 0.8245 0.4954 0.4033
O29 0.8790 0.7500 0.0446
O30 0.9053 0.7500 0.5569
O31 0.9917 0.5068 0.7051
O32 0.9917 0.9932 0.7051

=====

Theoretical powder diffraction line list of Ac4Cd3Sn for Cu Kα, 1.54184 Å, from a cell relaxed with PBE.
Neutral-atom scattering factors, no anomalous dispersion.

Principal peaks in the range 2θ from 10° to 80°, low angle first:
| 2theta | I/Imax |
| --- | --- |
| 21.9 | 11 |
| 30.8 | 100 |
| 31.2 | 49 |
| 43.6 | 10 |
| 44.8 | 18 |
| 54.6 | 20 |
| 55.3 | 39 |
| 64.3 | 12 |
| 72.1 | 9 |
| 73.8 | 8 |

Crystal structure
abc: 4.050 4.050 16.609
angles: 90.00 90.00 90.00
Positions (direct):
1 Ac 0.000 0.000 0.123
2 Ac 0.000 0.000 0.374
3 Ac 0.000 0.000 0.626
4 Ac 0.000 0.000 0.877
5 Cd 0.500 0.500 0.000
6 Cd 0.500 0.500 0.246
7 Cd 0.500 0.500 0.754
8 Sn 0.500 0.500 0.500